'''
This record from the OMol25 dataset describes a structure of composition C19H19N5O5PdS. The level of theory is the ωB97M-V functional and the def2-TZVPD basis.

## Properties
**E_HOMO**: -0.0591 Ha
**ΔE to the lowest compared entry with this formula, charge and spin**: 29.99 kJ/mol
**Total charge**: -2
**Kohn-Sham gap**: 5.700 eV

Positions of all 50 atoms, in Å:
Pd: -3.471198 1.574476 0.812524
C: 0.542246 -1.684460 -0.079554
N: -0.336279 -0.526975 0.217310
C: -0.791021 0.131630 -1.042041
C: -1.471192 -0.889657 1.182303
C: -2.713255 -1.334466 0.474627
C: -2.851584 -2.669091 0.091413
C: -3.961654 -3.080438 -0.628994
C: -4.928841 -2.133288 -0.951794
C: -4.790801 -0.814377 -0.542839
C: -3.687985 -0.356723 0.197561
H: 1.344340 -1.371516 -0.744640
H: -0.060908 -2.457616 -0.550129
H: 0.979541 -2.053459 0.844976
H: 0.235585 0.155737 0.716823
H: -1.376901 -0.588529 -1.607648
H: 0.103673 0.415497 -1.595063
H: -1.398818 1.012984 -0.805156
H: -1.685885 0.016634 1.748724
H: -1.050819 -1.651590 1.840835
H: -2.091900 -3.395651 0.369621
H: -4.074995 -4.116926 -0.924272
H: -5.806897 -2.432025 -1.516525
H: -5.576563 -0.110105 -0.795205
O: -2.814316 3.491496 0.523854
O: -2.568577 2.643972 -0.604054
N: -4.745294 0.735868 3.586909
C: -4.269435 1.061866 2.578703
O: 4.850857 -2.510730 -2.509117
S: 5.177643 -1.984951 -1.194846
O: 4.458394 -2.607441 -0.100543
O: 6.594417 -1.772516 -0.952228
C: 4.519397 -0.284284 -1.271648
N: 4.974716 0.486568 -2.262548
C: 4.464260 1.706833 -2.334562
C: 3.506244 2.181290 -1.452466
C: 3.112527 1.307169 -0.450928
N: 3.626583 0.079900 -0.361232
C: 2.074659 1.643801 0.555612
C: 1.015750 2.489760 0.263399
C: -0.027281 2.630916 1.179441
N: -0.010756 2.011837 2.362282
C: 1.043846 1.254374 2.673658
C: 2.095381 1.018528 1.801561
H: 4.835201 2.337505 -3.137779
H: 3.107269 3.182646 -1.529956
H: 0.929072 2.964025 -0.705926
H: -0.938570 3.194153 0.946080
H: 1.010517 0.761168 3.640096
H: 2.899615 0.336180 2.043387

Force components x, y, z for each atom (eV/Å):
Pd 0.004 -0.086 -0.077
C 0.018 -0.027 -0.039
N -0.050 -0.044 0.011
C -0.034 -0.007 -0.013
C 0.002 -0.024 0.001
C 0.033 0.010 -0.002
C -0.005 -0.003 -0.007
C -0.004 0.009 0.006
C 0.010 -0.004 0.003
C -0.036 -0.002 0.033
C -0.007 0.031 -0.010
H 0.010 -0.016 0.039
H -0.006 0.006 -0.006
H 0.001 -0.001 -0.001
H -0.032 -0.022 -0.037
H 0.007 -0.006 0.000
H 0.008 -0.023 -0.007
H 0.023 0.010 0.012
H 0.002 -0.005 -0.004
H 0.005 -0.006 -0.011
H 0.003 0.004 -0.004
H -0.004 0.000 -0.003
H 0.002 -0.009 -0.002
H 0.004 0.002 0.002
O -0.011 -0.014 -0.019
O 0.033 0.007 0.007
N 0.040 -0.024 0.021
C -0.080 0.093 -0.049
O 0.005 0.002 0.005
S 0.022 0.003 -0.038
O -0.035 0.007 0.027
O -0.007 -0.006 0.006
C 0.050 0.001 -0.037
N -0.023 0.023 0.004
C 0.009 -0.038 0.004
C 0.040 0.014 0.044
C 0.000 0.021 -0.037
N -0.029 -0.038 -0.025
C 0.061 0.100 -0.025
C -0.078 -0.013 -0.048
C -0.055 0.014 0.084
N 0.091 0.061 0.277
C -0.032 -0.012 -0.273
C 0.058 -0.062 0.124
H -0.001 0.001 0.004
H -0.010 -0.001 -0.006
H -0.019 0.017 0.004
H 0.000 0.007 0.005
H 0.032 0.054 0.035
H -0.016 -0.006 0.021

Atom charges from the natural (NBO) analysis, given in e for atoms 1 to 4: Pd 0.59; C -0.41; N -0.39; C -0.45

This record from the OMol25 dataset describes an isolated molecule of C19H19NO3S. The level of theory is the ωB97M-V functional and the def2-TZVPD basis.

## Properties
**E_HOMO**: -0.2921 Ha
**ΔE to the lowest compared entry with this formula, charge and spin**: 30.25 kJ/mol
**Total charge**: 0
**Kohn-Sham gap**: 8.231 eV

Positions of all 43 atoms, in Å:
C: 7.607547 0.017955 -3.765017
C: 6.271422 -0.117055 -3.105129
C: 5.735802 -1.376997 -2.851384
C: 4.497052 -1.510139 -2.260825
C: 3.761720 -0.378650 -1.909513
C: 2.442166 -0.572361 -1.274652
O: 1.964805 -1.646358 -1.003729
O: 1.816242 0.605900 -1.054757
C: 0.585341 0.638192 -0.424372
C: 0.308356 -0.112415 0.709981
C: -0.936325 -0.015450 1.301334
C: -1.907811 0.837087 0.780333
C: -3.207437 0.993834 1.450393
S: -3.686577 2.508076 1.903269
'''

Retype the part of the lines earlier on that starts with the line with "0.033 0.010" and stops after the one with "-3.105129".

C 0.033 0.010 -0.002
C -0.005 -0.003 -0.007
C -0.004 0.009 0.006
C 0.010 -0.004 0.003
C -0.036 -0.002 0.033
C -0.007 0.031 -0.010
H 0.010 -0.016 0.039
H -0.006 0.006 -0.006
H 0.001 -0.001 -0.001
H -0.032 -0.022 -0.037
H 0.007 -0.006 0.000
H 0.008 -0.023 -0.007
H 0.023 0.010 0.012
H 0.002 -0.005 -0.004
H 0.005 -0.006 -0.011
H 0.003 0.004 -0.004
H -0.004 0.000 -0.003
H 0.002 -0.009 -0.002
H 0.004 0.002 0.002
O -0.011 -0.014 -0.019
O 0.033 0.007 0.007
N 0.040 -0.024 0.021
C -0.080 0.093 -0.049
O 0.005 0.002 0.005
S 0.022 0.003 -0.038
O -0.035 0.007 0.027
O -0.007 -0.006 0.006
C 0.050 0.001 -0.037
N -0.023 0.023 0.004
C 0.009 -0.038 0.004
C 0.040 0.014 0.044
C 0.000 0.021 -0.037
N -0.029 -0.038 -0.025
C 0.061 0.100 -0.025
C -0.078 -0.013 -0.048
C -0.055 0.014 0.084
N 0.091 0.061 0.277
C -0.032 -0.012 -0.273
C 0.058 -0.062 0.124
H -0.001 0.001 0.004
H -0.010 -0.001 -0.006
H -0.019 0.017 0.004
H 0.000 0.007 0.005
H 0.032 0.054 0.035
H -0.016 -0.006 0.021

Atom charges from the natural (NBO) analysis, given in e for atoms 1 to 4: Pd 0.59; C -0.41; N -0.39; C -0.45

This record from the OMol25 dataset describes an isolated molecule of C19H19NO3S. The level of theory is the ωB97M-V functional and the def2-TZVPD basis.

## Properties
**E_HOMO**: -0.2921 Ha
**ΔE to the lowest compared entry with this formula, charge and spin**: 30.25 kJ/mol
**Total charge**: 0
**Kohn-Sham gap**: 8.231 eV

Positions of all 43 atoms, in Å:
C: 7.607547 0.017955 -3.765017
C: 6.271422 -0.117055 -3.105129